Please find "0.377" and "0.266 0.799" in the listing underneath, and set down these two lines and those between.
/*
No. 1
Entry from Materials Project: an optimized crystal structure of KTm2Cl7 (PBE-GGA).

Calculated values
electronic total energy	-0.166	hartree per atom
crystal system	monoclinic
calculated formation energy	-2.6566	eV/atom
symmetry	No. 14

abc: 6.864 12.499 13.191
angles: 90.00 90.90 90.00
Atoms (fractional coordinates):
Cl 0.997 0.703 0.824
Cl 0.026 0.074 0.379
Tm 0.274 0.161 0.249
Cl 0.536 0.059 0.132
Cl 0.944 0.973 0.865
Cl 0.056 0.473 0.635
Cl 0.743 0.815 0.108
Cl 0.464 0.941 0.868
K 0.734 0.299 0.462
Cl 0.056 0.027 0.135
Cl 0.974 0.574 0.121
Cl 0.974 0.926 0.621
Cl 0.456 0.586 0.123
Cl 0.517 0.678 0.826
Cl 0.483 0.322 0.174
Cl 0.544 0.414 0.877
Tm 0.274 0.339 0.749
Tm 0.726 0.661 0.251
Cl 0.003 0.203 0.676
Cl 0.944 0.527 0.365
Cl 0.003 0.297 0.176
Cl 0.257 0.315 0.392
Cl 0.997 0.797 0.324
Cl 0.536 0.441 0.632
K 0.266 0.701 0.538
Tm 0.779 0.962 0.262
Tm 0.726 0.839 0.751
Cl 0.544 0.086 0.377
K 0.266 0.799 0.038
Cl 0.483 0.178 0.674
Tm 0.221 0.462 0.238
Cl 0.464 0.559 0.368
Cl 0.257 0.185 0.892
Tm 0.221 0.038 0.738
Tm 0.779 0.538 0.762
Cl 0.456 0.914 0.623
K 0.734 0.201 0.962
Cl 0.743 0.685 0.608
Cl 0.517 0.822 0.326
Cl 0.026 0.426 0.879

No. 2
Entry from Materials Project: an optimized crystal structure of MgAl2S4 (PBE-GGA).

Calculated values
electronic total energy	-0.177	hartree per atom
crystal system	trigonal
calculated formation energy	-1.4501	eV/atom
symmetry	No. 166

abc: 3.715 3.715 13.137
angles: 81.87 81.87 60.00
Atoms (fractional coordinates):
S 0.884 0.884 0.349
S 0.116 0.116 0.651
S 0.298 0.298 0.107
Mg 0.000 0.000 0.000
Al 0.242 0.242 0.274
S 0.702 0.702 0.893
Al 0.758 0.758 0.726

No. 3
Entry from Materials Project: an optimized crystal structure of Li4NbIn3P6O24 (PBE-GGA).

Calculated values
electronic total energy	-0.253	hartree per atom
crystal system	monoclinic
calculated formation energy	-2.6495	eV/atom
symmetry	No. 7

abc: 9.014 8.751 15.209
angles: 55.23 90.00 90.00
Atoms (fractional coordinates):
Li 0.463 0.036 0.172
Nb 0.290 0.858 0.390
O 0.152 0.156 0.471
O 0.237 0.597 0.711
In 0.793 0.364 0.388
P 0.141 0.252 0.351
Li 0.537 0.036 0.672
O 0.763 0.597 0.211
O 0.616 0.619 0.944
O 0.018 0.332 0.811
Li 0.532 0.403 0.827
O 0.991 0.981 0.192
O 0.246 0.096 0.763
P 0.497 0.454 0.001
In 0.209 0.139 0.609
O 0.201 0.132 0.054
O 0.515 0.657 0.685
In 0.791 0.139 0.109
O 0.417 0.458 0.087
O 0.740 0.900 0.744
O 0.384 0.619 0.444
O 0.260 0.402 0.287
O 0.352 0.902 0.666
P 0.859 0.252 0.851
O 0.080 0.544 0.912
O 0.754 0.096 0.263
O 0.574 0.264 0.053
O 0.621 0.209 0.364
P 0.640 0.046 0.351
O 0.910 0.541 0.583
O 0.403 0.486 0.907
O 0.165 0.094 0.331
P 0.996 0.544 0.998
O 0.848 0.156 0.971
O 0.982 0.332 0.311
O 0.308 0.867 0.953
O 0.481 0.010 0.319
Li 0.030 0.593 0.674
O 0.875 0.399 0.055
O 0.835 0.094 0.831
O 0.260 0.900 0.244
O 0.692 0.867 0.453
In 0.710 0.634 0.613
O 0.336 0.829 0.526
O 0.799 0.132 0.554
Li 0.954 0.968 0.324
O 0.740 0.402 0.787
P 0.641 0.744 0.150
Li 0.046 0.968 0.824
O 0.920 0.544 0.412
O 0.009 0.981 0.692
O 0.519 0.010 0.819
P 0.140 0.954 0.153
P 0.359 0.744 0.650
O 0.583 0.458 0.587
O 0.129 0.789 0.142
O 0.379 0.209 0.864
In 0.207 0.364 0.888
In 0.290 0.634 0.113
Li 0.468 0.403 0.327
P 0.360 0.046 0.851
Li 0.970 0.593 0.174
O 0.664 0.829 0.026
O 0.485 0.657 0.185
P 0.004 0.544 0.498
O 0.597 0.486 0.407
P 0.503 0.454 0.501
O 0.871 0.789 0.642
O 0.087 0.744 0.436
O 0.913 0.744 0.936
O 0.090 0.541 0.083
O 0.648 0.902 0.166
O 0.125 0.399 0.555
Nb 0.710 0.858 0.890
O 0.426 0.264 0.553
P 0.860 0.954 0.653

No. 4
Entry from Materials Project: an optimized crystal structure of Na9MgNb5Si9O36 (PBE-GGA).

Calculated values
electronic total energy	-0.271	hartree per atom
calculated formation energy	-2.9458	eV/atom
distance to the lowest polymorph of the same formula	0	meV/atom

abc: 15.820 27.244 9.081
angles: 89.79 125.09 90.29
Atoms (fractional coordinates):
Nb 0.393 0.082 0.933
O 0.649 0.024 0.740
O 0.153 0.192 0.745
Mg 0.897 0.749 0.436
Nb 0.389 0.752 0.931
O 0.250 0.110 0.763
O 0.744 0.393 0.267
*/
Cl 0.544 0.086 0.377
K 0.266 0.799 0.038